Didn't see it was only Tigrar at first, I was going as all 3 variations being a choice. I'll try and touch on both perspectives.
Against Slasher he still doesn't really have great buttons, you just need to walk in lol. Against Relentless you still get all the pressure in the world as Tigrar, tele has to be on a read. Kuatan actually controls the pace super well, and teleport doesn't work since it has no invincibility frames. If he mb teleports full screen ground pound just shoots him out the other direction. It's a feasible wakeup depending on the matchup, but not so much against Goro. You can literally 3d3 in the corner, and none of his pokes will reach. Goro pretty much gets free pressure unless Jason burns a bar after that. Plus you have the regular Goro oki. There's also tricks to Red Screen. It's a bit over 100 frames of startup. Off of f44 it's pretty safe against most of the cast, but with Goro just use stomp and take the gamble. Hell, if anyone raw red screens you have time to get a few jumps in and JK or JIP them lol. So Tigrar teleport is a bit more of a threat, but Kuatan just controls the matchup. Relentless does have a great neutral for sure, but the payoff just isn't enough which is more of a problem of Jason being an undertuned character.
She can build meter. but even with meter she's taking a massive risk as we lock her down up close. I feel Tigrar can play a pretty decent anti zoning game, since the projectile hits harder and has help with the reduced recovery. I normally play characters who plod in slowly, so used to that type of playstyle lol. TBH it feels super even, as both have distinct advantages on certain parts of the screen that tend to cancel the other one out. Her buttons upclose are pretty damn bad.
Entry 1:
Molecular formula: C4H10O
Method: DFT, ωB97M-V/def2-TZVPD

Last column: Löwdin charge in e.
Positions of all 15 atoms, in Å:
C: 0.35561 -0.13356 -1.89357  -0.069
C: 0.54303 0.28285 -0.48285  -0.140
C: -0.40799 0.91255 0.34711  -0.138
C: -0.10811 0.66688 1.79483  -0.088
H: 1.13477 0.20629 -2.58109  0.083
H: 0.18002 -1.19901 -2.04488  0.092
H: -0.47741 0.39390 -2.38111  0.088
H: 1.43176 -0.13824 -0.02536  0.135
H: -1.06133 1.72500 0.07295  0.135
H: 0.83328 1.11053 2.14241  0.089
H: -0.84257 0.87993 2.56715  0.086
H: 0.09310 -0.38267 1.65898  0.029
H: -0.47943 -0.32978 0.09815  0.082
H: -0.89241 -2.31120 0.15593  -0.029
O: -0.30231 -1.68346 0.57134  -0.355

Properties
energy above the lowest of the compared OMol25 structures with the same formula, charge and spin: 456.0 kJ/mol
energy: -233.4713 Eh
lowest unoccupied orbital energy: 0.19 eV
HOMO-LUMO gap: 8.7 eV
spin multiplicity: 1
E_HOMO: -8.514 eV

***

Entry 2:
Molecular formula: C17H39N2O3PS
Method: DFT, ωB97M-V/def2-TZVPD

Last column: Löwdin charge in e.
Positions of all 63 atoms, in Å:
C: 4.42919 3.51705 3.32723  -0.064
C: 4.78226 2.31276 2.45848  -0.274
O: 3.58806 1.66385 2.06515  -0.166
C: 3.78447 0.37581 1.52054  -0.236
C: 2.48440 -0.40614 1.62110  -0.174
C: 1.25333 0.42454 1.26239  -0.217
C: 0.08296 -0.45742 0.81241  -0.270
C: -1.27099 0.24146 0.91152  -0.353
P: -1.79485 0.80454 2.60670  0.912
C: -1.07136 -0.56893 3.64474  -0.456
S: -1.90640 -0.99529 5.14187  0.588
O: -3.16394 -1.61193 4.85805  -0.356
O: -0.95836 -1.66861 5.98682  -0.364
N: -3.45345 0.44678 2.68129  -0.132
C: -4.34022 1.21940 2.20962  -0.486
C: -5.76776 1.02537 2.61956  -0.044
C: -4.07143 2.36291 1.26161  -0.057
H: 3.36393 3.48483 3.55527  0.076
H: 4.98600 3.52016 4.26331  0.069
H: 4.62355 4.45817 2.81318  0.068
H: 5.42707 1.60970 2.99977  0.112
H: 5.33666 2.63491 1.56666  0.118
H: 4.58105 -0.14189 2.06942  0.119
H: 4.09613 0.44836 0.46728  0.125
H: 2.53888 -1.27835 0.96213  0.117
H: 2.39459 -0.78934 2.64256  0.117
H: 1.51167 1.10260 0.44364  0.120
H: 0.96356 1.05744 2.10423  0.091
H: 0.08978 -1.41849 1.32978  0.095
H: 0.24129 -0.69612 -0.24508  0.095
H: -1.21157 1.15636 0.31300  0.069
H: -2.06837 -0.36237 0.47020  0.086
H: -0.08583 -0.21021 3.95006  0.058
H: -0.93808 -1.53587 3.15487  0.073
H: -2.12439 0.22340 5.69428  0.070
H: -6.37212 0.73705 1.75509  0.084
H: -6.17216 1.98029 2.96596  0.084
H: -5.84667 0.26242 3.38904  0.079
H: -3.73750 3.23056 1.83869  0.090
H: -4.98636 2.64903 0.74209  0.077
H: -3.32413 2.10493 0.51375  0.057
C: 1.88933 0.14611 -3.54564  -0.088
C: 1.16006 -1.18199 -3.40450  -0.280
N: -0.24294 -1.10280 -3.76724  -0.201
C: -1.01699 -2.25706 -3.34423  -0.252
C: -0.68025 -3.62022 -3.95891  -0.083
C: -0.51819 -0.60083 -5.10370  -0.247
C: 0.11493 -1.33570 -6.29160  -0.081
H: 1.36149 0.93394 -3.00555  0.077
H: 2.89505 0.06048 -3.13167  0.071
H: 1.99136 0.45222 -4.58730  0.065
H: 1.20427 -1.48771 -2.35463  0.103
H: 1.71085 -1.95010 -3.97043  0.104
H: -2.07306 -2.03540 -3.52121  0.111
For Tigrar I can see it more rough than Dragon Fangs. This is a way more tough MU online though. You can't really zone Kang so it's a fair point. Kang has pretty big gaps, so we're basically forcing him to use meter on a guess that we'll press a button. Also, it can blow punchwalk up on certain timing, but that means they have to read and commit to the fact you'll use punchwalk. Parry is a massive risk which is super punishable. The option is there for sure, but if he's going to keep using armor on his cancels then he runs out of meter pretty quick. All variations can pressure him pretty well since he has pretty slow buttons, but I feel Dragon Fangs does it the best. Spin is only -3, and I believe Kang's d1 is 9? and d3 (which is +) is 12. You can literally poke, command grab, do whatever you want after lol. He has to hold a post special game. I think he can D2 out, but that's super risky. I do have a lot more Dragon's Fire experience than Flame Fist, but have still played it a decent amount. I think Dragon's Fire struggles a lot against Goro.
This is why I feel the variation system is actually decent for Goro, he has 3 different options for 3 different matchups right there.